Subdivision 1.
Termination of revocation period. If the commissioner receives notice of
the driver's attendance at a driver improvement clinic, attendance at counseling sessions, or
participation in treatment for an alcohol problem, the commissioner may, 30 days prior to the time
the revocation period would otherwise expire, terminate the revocation period. The commissioner
shall not terminate the revocation period under this subdivision for a driver who has had a license
revoked under section
169A.52 (license revocation for test failure or refusal);
169A.54 (impaired
driving convictions and adjudications; administrative penalties); or Minnesota Statutes 1998,
169.121 (driving under the influence of alcohol or controlled substances); or
(implied consent) for another incident during the preceding three-year period.
Subd. 2.
Reinstatement of driving privileges; notice. Upon expiration of a period of
revocation under section
169A.52 (license revocation for test failure or refusal) or
(impaired driving convictions and adjudications; administrative penalties), the commissioner
shall notify the person of the terms upon which driving privileges can be reinstated, and new
registration plates issued, which terms are: (1) successful completion of an examination and proof
of compliance with any terms of alcohol treatment or counseling previously prescribed, if any;
and (2) any other requirements imposed by the commissioner and applicable to that particular
case. The commissioner shall notify the owner of a motor vehicle subject to an impoundment
order under section
169A.60 (administrative impoundment of plates) as a result of the violation
of the procedures for obtaining new registration plates, if the owner is not the violator. The
commissioner shall also notify the person that if driving is resumed without reinstatement of
driving privileges or without valid registration plates and registration certificate, the person
will be subject to criminal penalties.
Subd. 3.
Reinstatement or issuance of provisional license. The commissioner shall not
issue a provisional or regular driver's license to a person whose provisional driver's license was
revoked for conviction as a juvenile of a violation of section
169A.33, or
169A.35; a
violation of a provision of sections
169A.50 to
169A.53; or a crash-related moving violation; until
the person, following the violation, reaches the age of 18 and satisfactorily:
(1) completes a formal course in driving instruction approved by the commissioner of public
(2) completes an additional three months' experience operating a motor vehicle, as
documented to the satisfaction of the commissioner;
(3) completes the written examination for a driver's license with a passing score; and
(Data records, kept here for reference)
Entry 1:
DFT (wB97M-V/def2-TZVPD) results for C22H48B2F6HgN5O16PbS2 as an isolated structure.

Element x y z (Å)
1 C -4.4880 -1.4277 -3.1864
2 H -3.6812 3.5218 -1.4993
3 H 2.5184 0.6012 5.5155
4 H -1.3633 4.6067 5.4511
5 C 1.7789 2.0219 3.9066
6 C 1.5756 -5.4822 0.3513
7 C -5.2568 -3.5767 -3.1373
8 H 3.4674 -2.2362 -2.2694
9 C -0.8420 -1.3834 7.4912
10 B 0.2781 0.2384 -1.1502
11 C -2.0165 -2.3339 3.2614
12 O -0.5851 -0.4703 8.3562
13 H -5.8572 -3.2865 -2.2751
14 H -6.7374 -5.7706 -3.0675
15 H 0.2434 5.4515 5.7449
16 C 3.2741 -4.7918 -1.2389
17 H -3.7413 -0.7274 -3.5608
18 O -1.1574 -1.0944 6.2746
19 H 2.9682 1.6081 2.6645
20 C -2.4928 5.3042 -1.7386
21 C -0.4733 -2.8649 7.4718
22 H 0.1021 0.7345 -0.2083
23 H 2.3489 -0.0813 3.8980
24 F 7.3910 2.9884 -2.6250
25 H 0.5690 -5.8592 0.5324
26 C 5.2842 -3.9130 -2.3518
27 O -0.6953 -3.3354 6.2325
28 O 0.1983 3.7130 4.4761
29 H 3.3228 3.0349 3.2953
30 O -4.0858 -2.7334 -3.2578
31 H 2.0626 -6.4093 0.6536
32 H -2.0510 6.0913 -1.1275
33 O -4.4681 -2.6968 3.7953
34 H -4.8195 -1.1140 -2.1966
35 O 3.2874 5.5823 -3.7677
36 H 1.7536 -4.7105 1.1001
37 C -3.4812 3.1931 1.2075
38 H 1.2446 2.6418 5.8929
39 C 1.4479 3.1559 4.9536
40 C 2.6092 0.8207 4.4517
41 N 3.6483 3.4443 -2.4540
42 O 5.2411 1.4360 -3.5860
43 C 3.2506 3.1620 -5.2432
44 H -6.4433 -5.5370 -1.3984
45 S 4.8762 2.1641 -2.3627
46 O 4.4536 1.2037 -1.3470
47 H -3.9413 -4.7117 -1.1275
48 F 2.7317 2.0107 -4.8037
49 C -0.2873 4.5110 5.5969
50 H 0.7777 0.9362 -1.8043
51 F 4.2257 2.8500 -6.1539
52 H -3.5025 -6.1349 -1.7327
53 O -1.9769 -2.3598 2.0378
54 Pb -0.3044 -3.0130 -2.6692
55 C -3.3365 -2.3396 4.1409
56 H 3.6584 -4.0861 -0.5024
57 N 3.1247 -2.8912 -2.9575
58 H 5.4678 -3.2127 -1.5370
59 C 3.7050 -4.1413 -2.5511
60 H -6.0174 -3.5620 -3.9180
61 H -4.5721 -5.4745 -3.8585
62 H -0.3108 3.9725 6.5443
63 H 3.6728 0.7818 4.2164
64 F 6.9659 2.3184 -0.6217
65 C 6.4576 2.9871 -1.6779
66 Hg 0.9547 3.4537 -0.2614
67 H -4.2762 6.2438 -2.4867
68 O 5.4111 4.4602 -4.1522
69 H -0.8542 5.4023 -2.8932
70 O 1.8296 -4.9804 -0.9730
71 H -3.6453 5.0657 -3.5506
72 C -5.9701 -5.9112 -2.3063
73 N -1.3417 4.6760 -2.3883
74 O -2.9127 -2.4736 5.3919
75 H -3.9072 4.0289 1.7625
76 H -2.7375 6.6998 -3.2965
77 S 3.9938 4.2753 -3.7846
78 H -5.3958 -1.3175 -3.7797
79 H -0.7016 -0.0625 -1.4876
80 H 3.7968 -5.7461 -1.1738
81 C -3.3338 5.8799 -2.8962
82 H 3.6879 -2.5874 -3.7390
83 H -4.2461 2.6351 0.6674
84 H -4.0414 4.9626 -0.4404
85 C -4.8292 -5.0591 -2.8841
86 F 6.1948 4.2530 -1.2978
87 N -3.6894 -5.1759 -1.9885
88 O -0.9351 -2.2073 4.0537
89 H 0.8645 -0.6395 -0.9275
90 H 3.5353 -4.7610 -3.4316
91 H 5.8486 -4.8369 -2.2256
92 C -3.2784 4.3056 -0.8578
93 H -2.9382 2.4677 1.8133
94 O -0.0789 -3.5356 8.4339
95 H 2.2171 3.9270 4.9986
96 B -1.4664 -2.2785 5.4652
97 H 0.8622 1.6084 3.4862
98 O -2.4965 3.7100 0.2362
99 N 2.5816 2.5253 2.8359
100 H -1.7285 4.2192 -3.2018
101 H 5.6141 -3.3848 -3.2464
102 H -5.8516 -6.9879 -2.1851
103 F 2.2666 3.8214 -5.8386

Cartesian forces, eV/Å:
C -1.3 1.8 -0.3
(End of the data records)
(4) complies with all other laws for reinstatement of a provisional or regular driver's license,
as applicable.
History: 2000 c 478 art 1 s 35; 2004 c 177 s 1; 2005 c 10 art 1 s 31